**Contents:**
-- begin --
Model P:
ORCA calculation (ωB97M-V/def2-TZVPD) on 11 unconnected molecules or ions with the total composition C62H54Br2N10O20.

XYZ file:
```
148
Properties=species:S:1:pos:R:3:mulliken_charge:R:1
Br 1.61 6.00 -0.69 -0.18
Br 3.20 3.80 -4.35 -0.17
O -2.11 3.31 -5.00 -0.61
O -3.73 -1.23 1.12 -0.66
O -5.19 7.66 -3.91 -0.55
O 3.96 -2.33 1.87 -0.39
O 2.58 -3.78 4.49 -0.62
O 2.66 0.46 -2.21 -0.24
O 4.01 2.73 2.00 -0.45
O -2.87 -7.44 -2.31 -0.62
O -4.95 9.13 -2.27 -0.55
O -7.02 -2.53 -5.67 -0.57
O 0.71 -3.78 3.39 -0.64
O -5.50 -0.65 4.62 -0.61
O 2.75 -2.38 0.05 -0.35
O -3.77 -0.16 -0.75 -0.62
O 4.62 3.95 3.59 -0.63
O 4.13 -0.75 -3.25 -0.64
O -5.63 -4.22 -5.58 -0.60
O -3.33 -0.96 4.65 -0.55
O -0.35 2.88 -4.00 -0.49
O -3.44 -6.35 -0.57 -0.61
N -2.72 -6.50 -1.56 1.09
N -1.44 2.52 -4.37 0.93
N 3.57 -2.88 0.85 0.83
N -3.21 -0.60 0.24 1.43
N 1.48 -3.31 4.18 1.20
N 3.79 0.23 -2.59 0.91
N -4.35 -0.29 4.40 1.08
N -6.24 -3.28 -5.05 1.00
N -4.72 8.05 -2.82 0.91
N 4.58 2.88 3.06 1.04
C -2.84 6.25 -0.10 -0.79
C -3.00 -1.43 -3.93 -0.74
C 5.42 1.80 5.19 -0.46
C -6.11 -3.05 -3.57 -0.23
C -6.62 -1.72 -1.64 -0.64
C 7.13 1.80 -2.20 -0.60
C -0.11 -1.69 5.15 -0.37
C 5.71 2.90 -0.59 -0.40
C 5.89 0.65 5.86 -0.74
C -1.80 -0.10 0.55 0.77
C 1.95 4.44 -2.97 0.04
C 2.78 5.26 -2.02 -0.12
C 5.15 -4.83 1.30 -0.11
C -0.03 1.54 0.08 -0.07
C 0.39 -0.41 1.42 -0.49
C -2.67 2.47 2.57 -0.38
C -1.73 -1.10 -3.44 0.21
C -3.75 3.34 2.28 -0.35
C 2.06 0.02 5.95 -0.68
C -5.73 -4.11 -2.67 -0.57
C -5.03 3.03 2.72 -0.54
C 6.09 1.02 -2.73 -0.49
C 5.19 -6.77 -0.04 -0.24
C -3.64 7.20 -0.69 -0.54
C -1.98 1.18 -4.05 -0.18
C -3.14 6.12 -2.83 -0.50
C 2.26 -1.15 5.20 0.06
C 4.06 -4.26 0.57 0.01
C -3.79 7.13 -2.09 0.11
C -2.13 5.27 -0.84 -0.40
C -0.92 -0.83 1.32 -1.01
C -5.68 -3.83 -1.32 -0.50
C -6.07 -2.66 -0.80 -0.21
C 5.68 -6.08 1.05 -0.83
C -1.37 1.08 -0.07 -0.64
C -3.79 -0.45 -4.45 -0.61
C 6.96 2.67 -1.14 -0.85
C 0.02 -4.56 -3.26 -0.71
C 3.62 -5.03 -0.57 -0.10
C 4.62 2.11 -1.07 0.26
C -3.29 0.86 -4.50 -0.83
C -1.68 -5.48 -1.83 -0.33
C -6.56 -1.88 -2.99 0.18
C -2.87 1.40 3.37 -0.08
C -5.28 1.82 3.41 -0.70
C -4.19 1.02 3.70 -0.13
C 4.84 1.17 -2.14 -0.46
C 0.39 -3.63 -2.31 -1.18
C 1.19 -1.99 4.79 0.15
C 0.81 0.80 0.90 -1.53
C -1.21 0.16 -3.44 -0.70
C 0.73 0.28 6.27 -0.42
C 4.21 -6.25 -0.86 -0.70
C -2.21 5.32 -2.20 0.07
C -1.05 -5.44 -3.03 -0.68
C -1.38 -4.47 -0.88 -0.15
C 5.63 -0.61 3.75 -0.86
C -0.33 -0.63 5.97 -0.76
C 5.97 -0.53 5.09 -0.10
C 5.06 1.75 3.82 -0.22
C 5.18 0.50 3.10 0.33
C -0.34 -3.56 -1.15 0.35
H -5.29 -4.63 -0.71 0.40
H -3.24 -2.48 -3.92 0.48
H -5.43 -5.00 -3.21 0.52
H 7.79 3.31 -0.89 0.40
H 2.86 -4.66 -1.24 0.34
H -6.18 -2.43 0.25 0.45
H 6.03 0.70 6.93 0.41
H 5.52 -7.76 -0.32 0.36
H -6.31 1.57 3.58 0.50
H 3.26 -1.36 4.86 0.35
H 8.15 1.55 -2.46 0.36
H 0.41 2.33 -0.52 0.25
H -3.17 6.03 -3.91 0.50
H -2.02 0.76 3.54 0.42
H 3.94 -6.75 -1.78 0.43
H -1.93 -4.41 0.05 0.59
H 1.20 -2.92 -2.42 0.76
H 1.42 3.59 -2.54 -0.44
H -1.43 4.64 -0.33 0.68
H -1.22 -6.18 -3.80 0.52
H 6.27 0.22 -3.44 0.50
H -0.32 0.37 -2.86 1.15
H -1.74 4.53 -2.77 0.15
H 5.57 3.68 0.14 0.52
H -4.09 7.90 -0.01 0.44
H 1.07 -0.99 2.03 0.64
H -3.82 1.62 -5.06 0.54
H 5.57 -4.26 2.12 0.30
H 0.55 -4.56 -4.20 0.49
H 3.31 6.12 -2.44 0.48
H 6.47 -6.43 1.70 0.43
H -6.86 -1.09 -3.67 0.43
H 3.60 2.26 -0.76 0.77
H -1.16 -1.86 -2.94 0.30
H 3.53 4.67 -1.49 -0.14
H 0.50 1.17 6.83 0.44
H -4.69 -0.74 -4.96 0.59
H -2.67 6.21 0.97 0.54
H 5.02 0.40 2.03 0.45
H -2.05 1.58 -0.74 0.55
H -1.36 -0.43 6.23 0.46
H -3.59 4.24 1.71 0.37
H -6.80 -0.72 -1.27 0.30
H 2.92 0.63 6.19 0.37
H -5.86 3.71 2.55 0.43
H 5.34 2.77 5.67 0.48
H -0.95 -2.30 4.83 0.46
H 1.12 4.90 -3.51 0.53
H 6.38 -1.40 5.60 0.34
H 1.82 1.16 0.99 0.66
H -1.64 2.69 2.29 0.53
H -1.30 -1.74 1.75 0.74
H -0.16 -2.78 -0.42 0.38
H 5.91 -1.45 3.12 0.45
```

Calculated values
* gap between HOMO and LUMO: 8.7 eV
-- stop --

**Assignment:**
The reader should filter the entries earlier on: keep the lines with the word "species".

**Solution:**
Properties=species:S:1:pos:R:3:mulliken_charge:R:1